Optimizing Pipedrive Activity Types

Optimizing Pipedrive Activity Types

Are you ready to supercharge your sales process and boost your results with Pipedrive? One of the best ways to achieve this is by optimizing your activity types within the platform. In this blog post, we’ll guide you through the steps to effectively utilize activity types in Pipedrive. By the end of this read, you’ll […]

Optimizing Your Sales Workflow with Pipedrive

Welcome to our blog on optimizing your sales workflow with Pipedrive! If you’re looking to supercharge your sales processes and close deals more efficiently, you’ve come to the right place. Sales workflow refers to the step-by-step process that guides your team from lead generation to successful deal closure. In today’s competitive business landscape, streamlining these […]

Is Pipedrive the Perfect CRM for Your Business?

is Pipedrive perfect CMS

Customer Relationship Management (CRM) software has become an indispensable tool for businesses looking to manage and nurture their relationships with customers effectively. Among the numerous CRM solutions available in the market, Pipedrive stands out as a popular choice due to its user-friendly interface and comprehensive features. In this blog post, we’ll explore whether Pipedrive is […]

Pipedrive Email Templates: How to Create Effective Sales Emails

Pipedrive Email Templates

In the ever-evolving world of sales, email communication plays a crucial role in connecting with prospects, nurturing leads, and closing deals. However, creating effective sales emails that grab attention, engage recipients, and drive conversions is no easy task. That’s where Pipedrive email templates come in. Pipedrive, a renowned customer relationship management (CRM) software, offers a […]

Fixing Pipedrive Sync Errors

Pipedrive sync errors

Calculated crystals, kept here for reference =
Entry 1:
Computed, not measured: a relaxed structure of Ni6Ge2P at the PBE-GGA level of DFT.

Output
Energy of formation in eV/atom: -0.40
SG: No. 189
Volume in Å³/cell: 105.32

Unit cell a=6.1667 b=6.1667 c=3.1980 alpha=90.00 beta=90.00 gamma=120.00
Closest atoms and distances in Å follow each position.
Element x y z (fractional)
Ni  0.0000  0.3887  0.0000  1 P 2.40, 4 Ge 2.49, 4 Ni 2.64
Ni  0.0000  0.7481  0.5000  2 P 2.23, 2 Ge 2.35
Ni  0.2519  0.2519  0.5000  2 P 2.23, 2 Ge 2.35
Ni  0.3887  0.0000  0.0000  1 P 2.40, 4 Ge 2.49, 4 Ni 2.64
Ni  0.6113  0.6113  0.0000  1 P 2.40, 4 Ge 2.49, 4 Ni 2.64
Ni  0.7481  0.0000  0.5000  2 P 2.23, 2 Ge 2.35
Ge  0.3333  0.6667  0.5000  9 Ni 2.35-2.49
Ge  0.6667  0.3333  0.5000  9 Ni 2.35-2.49
P  0.0000  0.0000  0.0000  9 Ni 2.23-2.40

=====

Entry 2:
Computed, not measured: a relaxed structure of PaNi2Ge at the PBE-GGA level of DFT.

Output
Energy of formation in eV/atom: -0.40
SG: No. 225
Volume in Å³/cell: 259.35

Unit cell a=6.3772 b=6.3772 c=6.3772 alpha=90.00 beta=90.00 gamma=90.00
Closest atoms and distances in Å follow each position.
Element x y z (fractional)
Pa  0.0000  0.0000  0.0000  8 Ni 2.76
Pa  0.0000  0.5000  0.5000  8 Ni 2.76
Pa  0.5000  0.0000  0.5000  8 Ni 2.76
Pa  0.5000  0.5000  0.0000  8 Ni 2.76
Ni  0.2500  0.2500  0.2500  4 Ge 2.76, 4 Pa 2.76
Ni  0.2500  0.2500  0.7500  4 Ge 2.76, 4 Pa 2.76
Ni  0.2500  0.7500  0.2500  4 Ge 2.76, 4 Pa 2.76
Ni  0.2500  0.7500  0.7500  4 Ge 2.76, 4 Pa 2.76
Ni  0.7500  0.2500  0.2500  4 Ge 2.76, 4 Pa 2.76
Ni  0.7500  0.2500  0.7500  4 Ge 2.76, 4 Pa 2.76
Ni  0.7500  0.7500  0.2500  4 Ge 2.76, 4 Pa 2.76
Ni  0.7500  0.7500  0.7500  4 Ge 2.76, 4 Pa 2.76
Ge  0.0000  0.0000  0.5000  8 Ni 2.76
Ge  0.0000  0.5000  0.0000  8 Ni 2.76
Ge  0.5000  0.0000  0.0000  8 Ni 2.76
Ge  0.5000  0.5000  0.5000  8 Ni 2.76

=====

Entry 3:
Computed, not measured: a relaxed structure of U2NiGe2Pd at the PBE-GGA level of DFT.

Output
Total magnetic moment in μB/f.u.: 4.1
Energy of formation in eV/atom: -0.40
SG: No. 26
Volume in Å³/cell: 223.20

Unit cell a=4.4171 b=7.5048 c=6.7330 alpha=90.00 beta=90.00 gamma=90.00
Closest atoms and distances in Å follow each position.
Element x y z (fractional)
U  0.0000  0.0333  0.0000  4 Ni 2.96-3.27, 6 Ge 2.97-3.05, 2 Pd 2.99-3.10
U  0.0000  0.9667  0.5000  4 Ni 2.96-3.27, 6 Ge 2.97-3.05, 2 Pd 2.99-3.10
U  0.5000  0.4565  0.0193  2 Ni 2.93-3.07, 4 Pd 3.00-3.17, 6 Ge 3.05-3.24
U  0.5000  0.5435  0.5193  2 Ni 2.93-3.07, 4 Pd 3.00-3.17, 6 Ge 3.05-3.24
Ni  0.5000  0.1749  0.3214  4 Ge 2.50-2.66
Ni  0.5000  0.8251  0.8214  4 Ge 2.50-2.66
Ge  0.0000  0.3284  0.2983  2 Ni 2.50, 2 Pd 2.60-2.77
Ge  0.0000  0.6716  0.7983  2 Ni 2.50, 2 Pd 2.60-2.77
Ge  0.5000  0.1490  0.7152  2 Ni 2.53-2.66, 2 Pd 2.61
Ge  0.5000  0.8510  0.2152  2 Ni 2.53-2.66, 2 Pd 2.61
Pd  0.0000  0.3344  0.7096  4 Ge 2.60-2.77
Pd  0.0000  0.6656  0.2096  4 Ge 2.60-2.77

~~~~~

Computed, not measured: a relaxed Ac crystal at the PBE level of DFT.

## Properties

If you’re a Pipedrive user, you understand the importance of seamless synchronization between your sales and customer relationship management (CRM) data. You may have encountered frustrating sync errors that can hinder the smooth operation of your customer data. These sync errors can arise due to various reasons such as data conflicts, network issues, or problems […]

Resolving Pipedrive Login Issues

Pipedrive login issues

Are you encountering login issues with your Pipedrive account? Don’t worry, you’re not alone. Many users face difficulties when trying to access their Pipedrive account, but with the right approach, these issues can be resolved efficiently. In this blog post, we will discuss common Pipedrive login issues and provide you with practical solutions to overcome […]

How to Build a Sales Pipeline in Pipedrive

How to Build a Sales Pipeline

If you’re in the business of sales, you know how crucial it is to have an organized and efficient sales process. One way to achieve this is by utilizing a sales pipeline, a visual representation of your sales process from start to finish. Pipedrive is a popular customer relationship management (CRM) tool that offers a […]

Pipedrive Customization: How to Tailor Pipedrive to Your Business

Pipedrive Customization

# Between two parts of the piece: crystal structures
+++
VASP calculation (GGA+U) on an optimized crystal structure of Na7Fe3O8.

a = 6.005 Å, b = 8.445 Å, c = 11.519 Å
α = 68.42°, β = 78.54°, γ = 70.50°
Atoms (fractional coordinates):
Na 0.500 0.439 0.281
Na 0.500 0.561 0.719
Na 0.874 0.218 0.664
Na 0.126 0.782 0.336
Na 0.376 0.360 0.566
Na 0.624 0.640 0.434
Na 0.721 0.068 0.472
Na 0.279 0.932 0.528
Na 0.304 0.866 0.048
Na 0.696 0.134 0.952
Na 0.271 0.453 0.050
Na 0.729 0.547 0.950
Na 0.542 0.937 0.780
Na 0.458 0.063 0.220
Fe 0.816 0.739 0.149
Fe 0.044 0.311 0.362
Fe 0.956 0.689 0.638
Fe 0.058 0.845 0.847
Fe 0.942 0.155 0.153
Fe 0.184 0.261 0.851
O 0.062 0.531 0.224
O 0.680 0.781 0.555
O 0.794 0.795 0.970
O 0.206 0.205 0.030
O 0.097 0.065 0.842
O 0.903 0.935 0.158
O 0.760 0.344 0.464
O 0.240 0.656 0.536
O 0.511 0.749 0.227
O 0.489 0.251 0.773
O 0.646 0.313 0.116
O 0.320 0.219 0.445
O 0.354 0.687 0.884
O 0.053 0.107 0.311
O 0.947 0.893 0.689
O 0.938 0.469 0.776

DFT formation energy: -1.71 eV/atom
E_tot: -185.48 eV for the cell shown
Space group: P-1
+++
# The piece goes on

Are you using Pipedrive for your sales management but feel like it could better align with your specific business needs? Look no further! In this blog post, we’ll explore the world of Pipedrive customization and show you how to make the most out of its powerful features by tailoring it to fit your unique sales […]

Materials data, as found in the file.
<<<
Run A
Sm5Co19: optimized geometry, PBE.

Lattice parameters (Å, degrees): 4.9736 4.9736 16.3649 81.26 81.26 60.00
With the nearest neighbours (Å) after each atom.
Sites, in units of the cell vectors:
Co 0.3785 0.3785 0.3674  7 Co 2.41-2.57
Co 0.6666 0.6666 0.0001  6 Co 2.44
Co 0.4156 0.4156 0.7533  6 Co 2.41-2.46
Co 0.6215 0.6215 0.6326  7 Co 2.41-2.57
Co 0.8756 0.3785 0.3674  7 Co 2.41-2.57
Sm 0.9206 0.9206 0.2383  12 Co 2.87-3.11
Co 0.5404 0.0417 0.8775  8 Co 2.44-2.49
Co 0.5404 0.5404 0.8775  8 Co 2.44-2.49
Co 0.3785 0.8756 0.3674  7 Co 2.41-2.57
Co 0.4596 0.9583 0.1225  8 Co 2.44-2.49
Sm 0.0000 0.0000 0.0000  18 Co 2.87-3.17
Sm 0.8472 0.8472 0.4583  12 Co 2.89-3.16, 3 Sm 3.17
Co 0.5844 0.5844 0.2467  6 Co 2.41-2.46
Co 0.4596 0.4596 0.1225  8 Co 2.44-2.49
Co 0.0417 0.5404 0.8775  8 Co 2.44-2.49
Co 0.7489 0.7489 0.7534  6 Co 2.42-2.46
Sm 0.1528 0.1528 0.5417  12 Co 2.89-3.16, 3 Sm 3.17
Co 0.6215 0.1244 0.6326  7 Co 2.41-2.57
Sm 0.0794 0.0794 0.7617  12 Co 2.87-3.11
Co 0.9583 0.4596 0.1225  8 Co 2.44-2.49
Co 0.1244 0.6215 0.6326  7 Co 2.41-2.57
Co 0.2511 0.2511 0.2466  6 Co 2.42-2.46
Co 0.3334 0.3334 0.9999  6 Co 2.44
Co 0.5000 0.5000 0.5000  6 Co 2.57

Output
mass density: 9.00 g/cm³


Run B
Sm5Co19: optimized geometry, PBE.

Lattice parameters (Å, degrees): 4.9902 4.9902 31.9110 90.00 90.00 120.00
With the nearest neighbours (Å) after each atom.
Sites, in units of the cell vectors:
Co 0.6687 0.8343 0.4342  7 Co 2.41-2.54
Co 0.1657 0.3313 0.4342  7 Co 2.41-2.54
Sm 0.3333 0.6667 0.5207  12 Co 2.88-3.12, 3 Sm 3.17
Sm 0.3333 0.6667 0.6306  12 Co 2.88-3.10
Co 0.3313 0.1657 0.9342  7 Co 2.41-2.54
Sm 0.3333 0.6667 0.9793  12 Co 2.88-3.12, 3 Sm 3.17
Co 0.8335 0.1665 0.8116  8 Co 2.44-2.50
Co 0.3313 0.1657 0.5658  7 Co 2.41-2.54
Co 0.0000 0.0000 0.6265  6 Co 2.41-2.44
Co 0.8343 0.6687 0.9342  7 Co 2.41-2.54
Co 0.0000 0.0000 0.5000  6 Co 2.54
Co 0.1665 0.8335 0.1884  8 Co 2.44-2.50
Co 0.8335 0.1665 0.6884  8 Co 2.44-2.50
Co 0.3329 0.1665 0.8116  8 Co 2.44-2.50
Co 0.1657 0.8343 0.4342  7 Co 2.41-2.54
Sm 0.6667 0.3333 0.0207  12 Co 2.88-3.12, 3 Sm 3.17
Co 0.3333 0.6667 0.1263  6 Co 2.41-2.45
Co 0.0000 0.0000 0.0000  6 Co 2.54
Co 0.0000 0.0000 0.7500  6 Co 2.44
Sm 0.6667 0.3333 0.2500  18 Co 2.88-3.18
Co 0.6671 0.8335 0.3116  8 Co 2.44-2.50
Co 0.0000 0.0000 0.1265  6 Co 2.41-2.44
Co 0.3333 0.6667 0.2500  6 Co 2.44
Co 0.8335 0.6671 0.6884  8 Co 2.44-2.50
Sm 0.6667 0.3333 0.1306  12 Co 2.88-3.10
Co 0.8343 0.1657 0.5658  7 Co 2.41-2.54
Co 0.1665 0.3329 0.3116  8 Co 2.44-2.50
Co 0.0000 0.0000 0.3735  6 Co 2.41-2.44
Sm 0.6667 0.3333 0.3694  12 Co 2.88-3.10
Co 0.1665 0.3329 0.1884  8 Co 2.44-2.50
Co 0.6687 0.8343 0.0658  7 Co 2.41-2.54
Co 0.0000 0.0000 0.8735  6 Co 2.41-2.44
Co 0.1657 0.8343 0.0658  7 Co 2.41-2.54
Sm 0.3333 0.6667 0.8694  12 Co 2.88-3.10
Co 0.8343 0.6687 0.5658  7 Co 2.41-2.54
Co 0.6667 0.3333 0.7500  6 Co 2.44
Co 0.1665 0.8335 0.3116  8 Co 2.44-2.50
Co 0.6667 0.3333 0.6263  6 Co 2.41-2.45
Co 0.3329 0.1665 0.6884  8 Co 2.44-2.50
>>>

How to Use Pipedrive for B2B Sales

Pipedrive for B2B Sales

In the competitive world of B2B sales, having a reliable and efficient customer relationship management (CRM) tool is crucial. One such tool that has gained significant popularity among businesses is Pipedrive. Pipedrive is a powerful CRM platform designed specifically for sales teams, providing them with a comprehensive set of features to manage their sales process […]

How to Use Pipedrive for Sales Forecasting

Pipedrive Sales Forecasting

Sales forecasting is a crucial aspect of any business. It helps organizations predict future sales, identify trends, and make informed decisions regarding their sales strategies. Pipedrive, a popular customer relationship management (CRM) tool, offers powerful features that can assist businesses in accurately forecasting their sales. In this blog post, we will explore how to utilize […]